M. D. Anderson team chosen to help navigate Cancer Genome Atlas

Flexible, efficient bioinformatic tools will dig into mountains of tumor genetic data

The Cancer Genome Atlas (TCGA) will fund an effort by scientists at The University of Texas M. D. Anderson Cancer Center to siphon buckets of meaningful information from an ocean of data about the aberrant genetics that drive human cancers.

"Analysis and interpretation of genetic data from tumor samples is a major bottleneck to progress in understanding and treating cancer," said the project's lead principal investigator John Weinstein, M.D., Ph.D., professor and chair of M. D. Anderson's Department of Bioinformatics and Computational Biology, as well as professor in the Department of Systems Biology.

The five-year $8.3 million grant from the TCGA will allow Weinstein and colleagues to put new computational tools to work parsing the multiple genetic pathways that fuel more than 20 types of cancer. The team proposes a more flexible and efficient approach to wringing information from overwhelming quantities of data researchers generate about gene expression and variation in tumors.

"The bottom line is personalizing cancer medicine. If we can generate molecular portraits of these cancers, we will be better able to choose the right therapy for each patient," Weinstein noted. "And it also will improve cancer risk assessment, early diagnosis, prognosis and assessment of the likelihood of recurrence."

The M. D. Anderson group is a new Genome Data Analysis Center of the TCGA, which is a joint enterprise of the National Cancer Institute and the National Human Genome Research Institute, both of the National Institutes of Health. The grant is part of the expansion of TCGA, after a pilot project focused on glioblastoma, lung cancer and ovarian cancer.

Co-leaders of the project are Gordon Mills, M.D., Ph.D., professor and chair of M. D. Anderson's Department of Systems Biology, and W. K. Alfred Yung, M.D., professor and chair of the Department of Neuro-Oncology. "They will provide extraordinary expertise in the systems-oriented and clinical aspects of the overall project," Weinstein said.

Rather than focusing on individual or pairs of genetic variations in tumors, the M. D. Anderson analysis center will study multi-gene pathways and combinations of pathways, a systems biology approach that addresses the complexity of cancer growth and survival.

Weinstein's group is developing a bioinformatic pipeline to analyze TCGA data and translate findings to the clinic. "We will use several nuggets of innovation to develop applications that will usefully address the questions that biologists and clinicians have at the end of the day," Weinstein said.

A major strength of the project is M. D. Anderson's leading expertise in translational and clinical research, Weinstein said. That expertise will keep bioinformatics development connected to important questions that must be addressed for each tumor type and for different types of molecular information. Additionally, M. D. Anderson is by far the largest contributor of tumor tissue samples to TCGA. That will be particularly important in the study of less common cancers.

The team will tap M. D. Anderson's leadership in the use of Bayesian statistical analysis, an efficient and informative approach to data analysis and clinical trial design, as developed under Donald Berry, Ph.D., Professor and Head of the Division of Quantitative Sciences.

Weinstein and colleagues will apply a number of advanced computational tools and concepts based on pathway analyses, artificial intelligence-based prediction methods, and the clustered heat map representations of genomic data that Weinstein introduced in the early 1990s.

Professor of Bioinformatics and Computational Biology Jonas Almeda, Ph.D., is a leading expert in semantic web, a flexible database infrastructure that's easily expandable to accommodate new types of searches. Searching a standard relational database requires loading the data and then searching it for the desired information, Weinstein explained. A semantic web structure allows searches based on a subject-predicate-object format that can home more directly to the information sought, dramatically speeding up searches. With an appropriate graphics card, more data crunching can be done in the browser of the user's laptop, rather than in a distant server. That also speeds processing time and relieves pressure on the server.

Team member David Kane of SRA International, a longtime collaborator of Weinstein's, is an expert in the Agile software development paradigm. Traditional software development involves extensive planning and consultation with users before any code is written. "The central tenet of agile development is that you get something working quickly via close consultation between biologists and software engineers. The biologists then are the initial testers and users, and the software is grown organically. The initial investment is small, so you don't have to be afraid of changing direction if necessary," Weinstein said.

Records of crystals that have nothing to do with the entry =
(1)
# PBE-GGA BC, optimized geometry
# - Formation enthalpy at 0 K: 0.42 eV/atom
# - Energy above the lowest structure with this stoichiometry: 270.9 meV/atom
# - Raw total energy: -90.35 eV per cell
data_BC
_chemical_formula_sum 'B6 C6'
_symmetry_space_group_name_H-M 'P 3 m 1'
_symmetry_Int_Tables_number 156
_symmetry_space_group_name_Hall 'P 3 -2"'
_cell_length_a 2.5700
_cell_length_b 2.5700
_cell_length_c 14.0227
_cell_angle_alpha 90.00
_cell_angle_beta 90.00
_cell_angle_gamma 120.00
loop_
_atom_site_label
_atom_site_type_symbol
_atom_site_fract_x
_atom_site_fract_y
_atom_site_fract_z
B1 B 0.0000 0.0000 0.0000
B2 B 0.0000 0.0000 0.1209
B3 B 0.0000 0.0000 0.6178
B4 B 0.3333 0.6667 0.1984
B5 B 0.3333 0.6667 0.6924
B6 B 0.6667 0.3333 0.4633
C1 C 0.0000 0.0000 0.5090
C2 C 0.3333 0.6667 0.3116
C3 C 0.3333 0.6667 0.8052
C4 C 0.6667 0.3333 0.3459
C5 C 0.6667 0.3333 0.8434
C6 C 0.6667 0.3333 0.9510

(2)
# PBE-GGA B3C2, optimized geometry
# - Formation enthalpy at 0 K: 0.44 eV/atom
# - Energy above the lowest structure with this stoichiometry: 227.6 meV/atom
# - Raw total energy: -217.72 eV per cell
data_B3C2
_chemical_formula_sum 'B18 C12'
_symmetry_space_group_name_H-M 'R 3 m'
_symmetry_Int_Tables_number 160
_symmetry_space_group_name_Hall 'R 3 -2"'
_cell_length_a 2.6640
_cell_length_b 2.6640
_cell_length_c 38.6365
_cell_angle_alpha 90.00
_cell_angle_beta 90.00
_cell_angle_gamma 120.00
loop_
_atom_site_label
_atom_site_type_symbol
_atom_site_fract_x
_atom_site_fract_y
_atom_site_fract_z
B1 B 0.0000 0.0000 0.0000
B2 B 0.0000 0.0000 0.0459
B3 B 0.0000 0.0000 0.2493
B4 B 0.0000 0.0000 0.4761
B5 B 0.0000 0.0000 0.6409
B6 B 0.0000 0.0000 0.8572
C1 C 0.0000 0.0000 0.2084
C2 C 0.0000 0.0000 0.3808
C3 C 0.0000 0.0000 0.6012
C4 C 0.0000 0.0000 0.8138

(3)
# PBE-GGA B7C5, optimized geometry
# - Formation enthalpy at 0 K: 0.49 eV/atom
# - Energy above the lowest structure with this stoichiometry: 325.4 meV/atom
# - Raw total energy: -86.98 eV per cell
data_B7C5
_chemical_formula_sum 'B7 C5'
_symmetry_space_group_name_H-M 'P 1 m 1'
_symmetry_Int_Tables_number 6
_symmetry_space_group_name_Hall 'P -2y'
_cell_length_a 4.5122
_cell_length_b 2.6792
_cell_length_c 7.0547
_cell_angle_alpha 90.00
_cell_angle_beta 92.31
_cell_angle_gamma 90.00
loop_
_atom_site_label
_atom_site_type_symbol
_atom_site_fract_x
_atom_site_fract_y
_atom_site_fract_z
B1 B 0.0000 0.0000 0.0000
B2 B 0.0242 0.5000 0.8577
B3 B 0.0651 0.0000 0.2507
B4 B 0.2980 0.0000 0.8683
B5 B 0.4366 0.0000 0.6431
B6 B 0.5920 0.5000 0.2567
B7 B 0.7683 0.5000 0.0392
C1 C 0.2488 0.5000 0.5389
C2 C 0.2519 0.5000 0.3328
C3 C 0.7487 0.0000 0.3558
C4 C 0.7707 0.0000 0.5664
C5 C 0.9444 0.5000 0.6316

(4)
# PBE-GGA BC, optimized geometry
# - Formation enthalpy at 0 K: 0.40 eV/atom
# - Energy above the lowest structure with this stoichiometry: 249.7 meV/atom
# - Raw total energy: -90.60 eV per cell
data_BC
_chemical_formula_sum 'B6 C6'
_symmetry_space_group_name_H-M 'P 1'
_symmetry_Int_Tables_number 1
Back to the entry =

Kane used the agile approach to develop the Miner Suite of bioinformatics software with Weinstein at the National Cancer Institute. Weinstein worked at the NCI for more than 30 years, and directed what has been considered a precursor project to the Cancer Genome Atlas before coming to M. D. Anderson in January 2008. Advances based on the Miner Suite will be used in this project.

The TCGA grant application was Weinstein's first to his former employer.

Findings and tools generated by the project will be open source, available to other TCGA research teams, and in a format compatible with both The Cancer Genome Atlas and the NCI's Cancer Biomedical Informatics Grid (caBIG).

Weinstein has done a series of calculations to put the challenge of sorting out the many variables of the cancer genome in perspective. "If you unpacked the DNA in every cell of a single person and stretched it end to end, it would circle the equator 917,000 times – the equivalent of 120 round trips to the sun. One error in replicating the genome in one unlucky place – over a length of 120 trips to the sun and back – can lead to cancer. Our challenges are to understand how that happens -- and to know what to do about it if we can't prevent it in the first place."